Tag Archives: Morris J. Moore

Jesse Morgan Buys Illinois Land – 1847

Crystal Lake Illinois Land in 1845

Back in 1845, my great-great grandfather, Jesse Morgan received a letter from B. Douglas, a promoter of Crystal Lake Illinois speaking of land that Jesse had bought in Illinois.

When Benjamin Douglas  wrote to Jesse in 1845, he seemed under the impression that Jesse was going to settle in Crystal Lake. In 1848,  Jesse will get another letter regarding Crystal Lake’s development, so he may have been seriously considering relocating there. Or, true to Jesse’s penchant for secrecy, he didn’t let his acquaintances know that he had sold the land.

Jesse always leaves us in doubt.

One thing we know for sure, there is no hint of such a move in his letters to Mary, nor any direct mention of buying land.

Jesse Buys Illinois Land in 1847

However, although I have not yet proved the 1845 purchase, it is a fact that Jesse bought land in 1847, and we have proof that Mary knew about that transaction.  Illinois has  wonderful resources for researchers, whether you are looking for acquisition of public lands, or records of private sales.  I could not find Jesse involved in a public land acquisition, although the letter from B. Douglas refers to the Chicago Land Office, which is where public land sales for northern Illinois were handled.

I wonder if that 1844/45 transaction was some under-the-table deal that did not get recorded? Or perhaps the records are just missing. It happens.

When I wrote to the appropriate Illinois Regional Archives Depository, they came up with this index of land purchases, and a copy of the deed of sale when Jesse sold the land. Jesse’s name as purchaser, and then as seller, appear on the 4th and 3rd lines from the bottom of the page. The most impressive things about this service is that it took less than two weeks between request and receiving the reply, AND there was no charge–not even a copying and mailing fee.

As Amy Johnson Crow points out in 31 Days to Better Genealogy discussion of surveying your sources, indexes are pointers–not sources. So I appreciate that they were able to send me the deed from when Jessie sold the property. I have asked IRAD to look again and see if they have a copy of the deed of Jesse’s purchase, also.

Illinois land record 1847

Illinois land records 1847. Jesse’s name appears as buyer and then as seller toward the bottom of the page.

Meanwhile, the index tells us that Jesse was in McHenry County, Illinois on September 5, 1847, because he purchased land from M.( L.) Moore. And because we have the deed of sale recorded right below the purchase, we can surmise it was the same land. When IRAD replied to my letter, with the deed of sale, I learned the location of the land sold by Jesse. All that remained in order to link the purchase and the sale was to learn the location of the land purchased by Jesse.

The sale coming only one month after the purchase, and Jesse’s mention of Mr. Woods in an August letter to Mary, both indicate that Jesse may have bought the land as an agent for Woods. If so, he made a hefty commission. Did you notice on the index that he bought the land for $200 and sold it a month later for $300? Way to go, Jesse. In August you were scrimping by living in the stable with your horses, and by October, you’ve made $100 with hardly any effort.

The Letter Mentioning Woods

Jesse writes from Crystal Lake

Jesse writes to Mary from Crystal Lake, Illinois September 1847

The Transcription

No. 1
VASP calculation (GGA-PBE) on a relaxed La5CoBr5 crystal.

Unit cell a=13.346 b=6.105 c=8.878 alpha=90.00 beta=110.96 gamma=90.00
Space group C2/m (No. 12)
Symmetry-distinct sites (fractional):
La: 0.000 0.000 0.000 x2
La: 0.137 0.500 0.271 x4
La: 0.172 0.500 0.859 x4
Co: 0.000 0.500 0.000 x2
Br: 0.000 0.500 0.500 x2
Br: 0.148 0.000 0.794 x4
Br: 0.174 0.000 0.359 x4

Computed properties:
- M_tot: 0.000 μB/atom
- Formation energy (no corrections): -14.1 eV/f.u.
- D(E_F): 0.92 states/eV/atom



No. 2
VASP calculation (GGA-PBE) on a relaxed GaBCl2 crystal.

Unit cell a=6.949 b=6.949 c=6.949 alpha=90.00 beta=90.00 gamma=90.00
Space group Fm-3m (No. 225)
Symmetry-distinct sites (fractional):
Ga: 0.000 0.000 0.000 x4
B: 0.000 0.000 0.500 x4
Cl: 0.250 0.250 0.250 x8

Computed properties:
- Distance to the lowest polymorph of the same formula: 324 meV/atom
- M_tot: 0.000 μB/atom
- Formation energy (no corrections): 2.5 eV/f.u.
- D(E_F): 0.00 states/eV/atom



No. 3
VASP calculation (GGA-PBE) on a relaxed Tb3Er4Sc crystal.

Unit cell a=11.079 b=7.160 c=6.179 alpha=90.00 beta=90.00 gamma=90.00
Space group Pmn2_1 (No. 31)
Symmetry-distinct sites (fractional):
Tb: 0.000 0.125 0.000 x2
Tb: 0.250 0.124 0.332 x4
Er: 0.000 0.375 0.504 x2
Er: 0.000 0.625 0.999 x2
Er: 0.246 0.626 0.336 x4
Sc: 0.000 0.874 0.499 x2

Computed properties:
- Distance to the lowest polymorph of the same formula: 0 meV/atom
- M_tot: 0.000 μB/atom
- D(E_F): 1.68 states/eV/atom



No. 4
VASP calculation (GGA-PBE) on a relaxed ZnGaPdPt crystal.

Unit cell a=6.180 b=6.180 c=6.180 alpha=90.00 beta=90.00 gamma=90.00
Space group F-43m (No. 216)
Symmetry-distinct sites (fractional):
Zn: 0.000 0.000 0.000 x4
Ga: 0.000 0.000 0.500 x4
Pd: 0.250 0.250 0.750 x4
Pt: 0.250 0.250 0.250 x4

Computed properties:
- Distance to the lowest polymorph of the same formula: 0 meV/atom
- M_tot: 0.000 μB/atom
- D(E_F): 0.70 states/eV/atom



No. 5
VASP calculation (GGA-PBE) on a relaxed Y2TmAs crystal.

Unit cell a=3.8533 b=3.8533 c=28.1013 alpha=90.00 beta=90.00 gamma=120.00
Space group R-3m (No. 166, hexagonal axes)
Symmetry-distinct sites (fractional):
Y: 0.0000 0.0000 0.2284 x6
Tm: 0.0000 0.0000 0.0000 x3
As: 0.0000 0.0000 0.5000 x3

Computed properties:
- M_tot: 0.248 μB/atom
- Calculated total energy: -73.27 eV for the cell shown
- D(E_F): 1.19 states/eV/atom



No. 6
VASP calculation (GGA-PBE) on a relaxed NaTaBiSb crystal.

Unit cell a=3.165 b=5.971 c=5.082 alpha=90.00 beta=90.00 gamma=90.00
Space group Pmm2 (No. 25)
Symmetry-distinct sites (fractional):
Na: 0.000 0.000 0.000 x1
Ta: 0.500 0.500 0.294 x1
Bi: 0.500 0.000 0.493 x1
Sb: 0.000 0.500 0.811 x1

Computed properties:
- Distance to the lowest polymorph of the same formula: 333 meV/atom
- M_tot: 0.000 μB/atom
- Formation energy (no corrections): 1.2 eV/f.u.
- D(E_F): 0.76 states/eV/atom



No. 7
VASP calculation (GGA-PBE) on a relaxed Rb2MgCu crystal.

Unit cell a=12.995 b=12.995 c=5.130 alpha=90.00 beta=90.00 gamma=90.00

Crystal Lake Sept 19th 1847

Dear Wife, I drop you a few lines to let you know that I am so far on my journey. I am well, and found Crystal Lake and the Land about as I expected. Nothing particular transpired on my journey. I shall start tomorrow for Peru and from their C. (?) Farwells I think. I shall come home by the way of the Ohio river but can’t tell until I get to Farwells. I am much pleased with the country here. It is beau[tiful]. But they have raised but little winter wheat here this harvest and the summer crops has suffered some from the drouth. There has been a railroad laid out that will come within from one to three miles of Woods’ farm. Tell him I think he need not be in any hurry to sell before another year as it is growing more valuable..

__Much Respect

Your affectionate


Mary Morgan Jesse Morgan

NB If anything should happen that I should not get home by the second Tuesday of October I wish you to have Boody (first letter not clear) or Josiah let Taggert know it so that he will be prepared to keep of the suit of Moore.

Notes on Letter

Moore was the name of the man he bought the land from in Illinois that was subsequently sold to Woods.

Josiah, mentioned in the NB (P.S.) could be Josiah Purdy, a Holmes County Justice of the Peace. Note the lawsuit involves someone named Moore. Same as the seller of the Illinois property? Another mystery to solve.

Later in this series I will tackle the question of who are the Farwells  that Jesse is going to visit.

Where Was Illinois Land Jesse Bought in 1847?

According to the Index above, Jesse purchased land from an M. L. Moore on September 5, 1847.  Although it clearly looks like an ‘L’ on the index, later documents show his initial as “J”–except one that looks like “O”. When did M.( L.) Moore receive the land?  And how?  Looking at the Bureau of Land Management records available in the Illinois State Archives, I find a Morris J. Moore received by warrant, 160 acres in McHenry County, Illinois. Legal Description: SE 1/4, Section 12, Township 32 Range 7. That warrant was signed in April, 1844.

For more information, I went directly to the Bureau of Land Management site.  There, I was able to see the image of the actual land patent. Here the name looks like Morris O. Moore. And I’m sorry the document is cut off, because it shows that the warrant was signed by John Tyler Jr., secretary to his father, President John Tyler.

Moore Illinois Land Patent

Illinois Land Patent for Sgt. Morris Moore from BLM files. 1844

And the BLM site helpfully presents a map showing where the land is located (with today’s roads, etc.). The map shows Crystal Lake just off the northeast corner of the section in question. Chicago lies on the eastern edge of the map.

Illinois Land

Location of Land Jesse bought for Woods. 1847

If you are researching ancestors in the 19th century, have you checked the BLM public lands site? It’s a treasure chest!

An October Project

(Skip this unless you are a fellow genealogy addict. )

Unrelated to this article: data records =
-- begin --
No. 1
A geometry-optimized Cd2SiPt structure. Source: Alexandria, functional PBE-GGA.

Lattice parameters (Å, degrees): 4.2282 3.7523 5.3224 90.00 110.75 90.00
Fractional coordinates of all 4 atoms:
Cd (0.0000, 0.0000, 0.0000)
Cd (0.2861, 0.5000, 0.6058)
Si (0.5676, 0.5000, 0.1493)
Pt (0.7106, 0.0000, 0.4310)

Summary:
Total energy   -3.48 eV/atom
Magnetization   0.00 μB/cell
Formation energy without anion corrections   -0.16 eV/atom
ρ   9.4 Mg/m³
Crystal system   monoclinic

No. 2
A geometry-optimized CdSi2Pt structure. Source: Alexandria, functional PBE-GGA.

Lattice parameters (Å, degrees): 4.1422 4.1422 6.9616 110.33 110.33 45.10
Fractional coordinates of all 4 atoms:
Cd (0.0000, 0.0000, 0.0000)
Si (0.2634, 0.2634, 0.6666)
Si (0.7366, 0.7366, 0.3334)
Pt (0.5000, 0.5000, 0.5000)

Summary:
Total energy   -4.54 eV/atom
Magnetization   0.00 μB/cell
Formation energy without anion corrections   -0.09 eV/atom
ρ   7.7 Mg/m³
Crystal system   monoclinic

No. 3
A geometry-optimized CdSi2Pt2 structure. Source: Alexandria, functional PBE-GGA.

Lattice parameters (Å, degrees): 7.7507 7.7507 2.7316 90.00 90.00 90.00
Fractional coordinates of all 10 atoms:
Cd (0.0000, 0.0000, 0.0000)
Cd (0.5000, 0.5000, 0.0000)
Si (0.1280, 0.3720, 0.0000)
Si (0.3720, 0.8720, 0.0000)
Si (0.6280, 0.1280, 0.0000)
Si (0.8720, 0.6280, 0.0000)
Pt (0.1644, 0.6644, 0.5000)
Pt (0.3356, 0.1644, 0.5000)
Pt (0.6644, 0.8356, 0.5000)
Pt (0.8356, 0.3356, 0.5000)

Summary:
Total energy   -4.94 eV/atom
Magnetization   0.00 μB/cell
Formation energy without anion corrections   -0.17 eV/atom
ρ   11.3 Mg/m³
Crystal system   tetragonal

No. 4
A geometry-optimized CdSi2Pt structure. Source: Alexandria, functional PBE-GGA.

Lattice parameters (Å, degrees): 2.8116 3.3212 7.5431 90.00 90.00 90.00
Fractional coordinates of all 4 atoms:
Cd (0.0000, 0.0000, 0.0000)
Si (0.5000, 0.5000, 0.2984)
Si (0.5000, 0.5000, 0.7016)
Pt (0.0000, 0.0000, 0.5000)

Summary:
Total energy   -4.42 eV/atom
Magnetization   0.00 μB/cell
Formation energy without anion corrections   0.04 eV/atom
ρ   8.6 Mg/m³
Crystal system   orthorhombic

Question: Among the records above, which one has the lowest ρ?
Answer: number 2

Question: The highest ρ belongs to which entry?
Answer: CdSi2Pt2

~~~~~

VASP calculation (GGA+U) on Na2W4O13 after structural relaxation.

a b c (Å): 3.850 8.531 8.681
angles (deg): 95.81 102.80 90.00
Fractional positions:
O 0.172 0.847 0.344
W 0.915 0.633 0.828
O 0.997 0.846 0.994
O 0.577 0.355 0.154
O 0.003 0.154 0.006
O 0.593 0.991 0.185
O 0.407 0.009 0.815
O 0.830 0.490 0.659
W 0.085 0.367 0.172
O 0.423 0.645 0.846
W 0.902 0.022 0.806
O 0.828 0.153 0.656
O 0.154 0.190 0.308
Na 0.288 0.309 0.575
O 0.000 0.500 0.000
O 0.846 0.810 0.692
O 0.170 0.510 0.341
W 0.098 0.978 0.194
Na 0.712 0.691 0.425

## Properties
**D(E_F)**: 0.000 states/eV/f.u.
**Total magnetic moment**: 0.00 Bohr magnetons per cell
**VASP energy**: -7.065 eV/atom

~~~~~

## ZrHg3H (PBE)

Data for a relaxed structure of ZrHg3H.
-- stop --

I am participating in Amy Johnson Crow’s 31 Days to Better Genealogy project. Each day she gives a suggestion for an activity that can improve our work. I will try to remember to include the hints I have followed as I prepare posts in October.

  • On day one Amy suggested starting research by asking questions rather than making statements.  This is a familiar technique to me, as the first thing I do on every research project is to make a list of questions I need answers to. One of the many questions about Jesse Morgan is “Where did he own Illinois land?” and follow up questions like “How did he obtain it?” “Did he sell it?”
  • On day two, Amy suggested that we review the sources we have listed on a person, and see if we need to dig deeper.  With Jesse,  I have lots of unconfirmed dates and places in his early life, where I depend on family lore or a printed family history of his line of Morgans. His personal letters have given me good sources for much of his activity in the 1840s up to 1850. When it came to the land ownership–I explain above the steps from knowing nothing to getting an index to seeing the original documents.
  • On day three, Amy suggested looking in detail at an ancestors’ occupation and gave us some sources to help do that.  I have already talked about Jesse as a teacher and Jesse as a horse trader.
  • The fourth day, Amy points to the Digital Public Library as an invaluable source. I have used it in the past, but need to dip into it to see if it will help answer my present questions about Jesse.
  • Days five, six, and seven were worthwhile suggestions, but were not directly relevant to research on Jesse, but Day eight–check military records–could be relevant as I broaden my search to Jesse’s family and friends.
  • Day nine’s suggestion was to check records that you have not looked at before, or are reluctant to get into.  That is still on my “to do” list, and I hope I’ll come up with some source I had not thought to use.

Records of crystals, kept here for reference:
'''
No. 1
## Ba6AgRu (GGA-PBE)

Data for an optimized crystal structure of Ba6AgRu.

The calculation puts the formation energy at 2.9 kJ per mole of atoms. The density of states at the Fermi level is 15.549 states/eV per cell.

The structure belongs to space group P-31c (No. 163); the cell edges are 7.8971, 7.8971 and 15.2631 Å and the angles 90.00°, 90.00° and 120.00°. The inequivalent atoms are Ba at (0.0057, 0.3171, 0.1173), Ag at (0.3333, 0.6667, 0.7500) and Ru at (0.0000, 0.0000, 0.0000).

=====

No. 2
## CsRb2AgF5 (GGA-PBE)

Data for an optimized crystal structure of CsRb2AgF5.

The density of states at the Fermi level is 8.476 states/eV per cell. The calculation puts the uncorrected formation energy at -2.206 eV/atom.

The structure belongs to space group Immm (No. 71); the cell edges are 4.3652, 6.6609 and 13.3751 Å and the angles 90.00°, 90.00° and 90.00°. The inequivalent atoms are Cs at (0.0000, 0.0000, 0.0000), Rb at (0.0000, 0.5000, 0.2123), Ag at (0.0000, 0.0000, 0.5000), F at (0.0000, 0.2355, 0.3741) and F at (0.0000, 0.5000, 0.0000).

* * * * *

Compound: HfTiB
Source: Alexandria via LeMat-Bulk
Functional: PBE
Structure: relaxed

Formation energy, eV/f.u.: -0.01
Magnetization, μB per formula unit: 0.00
Distance to the lowest polymorph of the same formula, meV/atom: 0
Theoretical density, g/cm³: 8.695

a = 3.198 Å, b = 10.877 Å, c = 5.208 Å
α = 90.00°, β = 90.00°, γ = 90.00°
Space group Cmcm (No. 63)
Asymmetric unit:
Hf 0.000 0.178 0.250 (multiplicity 4)
Ti 0.000 0.082 0.750 (multiplicity 4)
B 0.000 0.500 0.000 (multiplicity 4)

* * * * *

1.
Entry from Alexandria: a relaxed structure of AcMg2SnAu4 (GGA-PBE).

Calculated values
The space group is R-3m, No. 166. For the formation energy, the calculation gives -0.57 eV/atom.

Unit cell a=10.2955 b=10.2955 c=10.2955 alpha=25.87 beta=25.87 gamma=25.87
With the nearest neighbours (Å) after each atom.
Element x y z (fractional)
Ac  0.0000  0.0000  0.0000  8 Au 3.25-3.64
Mg  0.2381  0.2381  0.2381  6 Au 2.78-2.83
Mg  0.7619  0.7619  0.7619  6 Au 2.78-2.83
Sn  0.5000  0.5000  0.5000  8 Au 2.98-3.10
Au  0.1219  0.1219  0.1219  3 Mg 2.78, 3 Sn 2.98
Au  0.3961  0.3961  0.3961  3 Mg 2.83, 1 Sn 3.10
Au  0.6039  0.6039  0.6039  3 Mg 2.83, 1 Sn 3.10
'''
End of the records of crystals:

Coming Next

Jesse sells the Illinois property to Doc Woods in Holmes County. And just who is Doc Woods? Quite a story.